........
1.
This record from the Open Molecules 2025 dataset describes a cluster of 6 separate species, C27H41Cl10NO2 in total. The level of theory is the ωB97M-V functional and the def2-TZVPD basis.

```
81
Properties=species:S:1:pos:R:3:forces:R:3:mulliken_charge:R:1
C 2.69534 -2.20000 1.07000 -1.0 0.6 0.7 -1.5577
C 1.14682 -2.08597 0.96999 1.2 -0.9 -0.8 0.2855
C 0.72065 -2.02678 -0.52031 0.4 0.6 0.1 -1.1100
N -0.16963 -0.90999 -0.89924 -0.2 -0.6 0.0 -0.2693
C -1.28647 -0.67483 -0.05745 0.7 0.0 -0.2 0.2551
C -1.22250 0.43468 0.75769 0.7 0.8 0.2 -0.3946
C -2.22966 0.78440 1.60542 -0.2 0.6 0.4 -1.2538
C -3.35860 0.00986 1.62287 -1.1 0.1 0.6 1.0936
C -3.45616 -1.10043 0.79776 -0.9 -0.6 0.3 1.1951
C -2.42347 -1.48247 -0.04082 0.1 -0.7 -0.7 -0.8244
C -2.52140 -2.72015 -0.92019 -0.1 -0.1 0.5 -1.5626
C -2.74475 -4.03588 -0.14676 0.3 -0.9 -0.1 1.1546
C -1.56457 -4.39884 0.77034 -0.7 0.1 0.0 -1.3976
C -2.96778 -5.18505 -1.15708 -0.2 0.8 0.5 -1.7082
C -4.76838 -1.86462 0.85766 0.4 0.2 -0.8 0.0344
O -5.25076 -2.35134 -0.14811 -0.2 0.0 0.8 -0.5412
C -5.42444 -1.91607 2.20333 0.4 -0.2 -0.7 -0.7674
C -5.30488 -0.85603 2.98580 -0.1 0.0 0.4 -0.5633
C -4.50348 0.33561 2.53829 0.0 0.2 0.2 -0.0059
O -4.75978 1.46382 2.92083 0.3 -0.7 -0.1 -0.5936
H 3.14476 -1.31021 0.61992 0.1 -0.5 0.0 0.2351
H 2.92851 -2.16210 2.14022 0.3 -0.2 -0.2 0.4082
H 3.06171 -3.13409 0.64047 0.1 0.2 -0.1 0.4231
H 0.76165 -3.01709 1.38530 -0.4 0.4 0.4 0.0780
H 0.87064 -1.20505 1.54890 -0.5 -0.2 -0.1 0.2156
H 0.31056 -2.97623 -0.86746 -0.1 0.1 0.2 0.2258
H 1.64134 -1.87814 -1.09732 -0.2 0.0 -0.1 0.6872
H 0.38015 -0.06500 -0.97091 0.0 0.0 0.1 0.5461
H -0.34229 1.07223 0.73257 0.0 -0.2 -0.1 0.4661
H -2.15080 1.64562 2.25577 0.0 0.0 -0.1 0.6394
H -1.58709 -2.83172 -1.47258 -0.2 0.1 -0.2 0.7224
H -3.34411 -2.59584 -1.62696 0.2 0.0 0.0 0.6263
H -3.62973 -4.02681 0.49245 0.0 0.4 -0.2 0.1513
H -0.71595 -4.73939 0.17021 0.1 0.2 0.2 0.2965
H -1.86871 -5.20923 1.44174 0.1 0.0 -0.2 0.5318
H -1.32363 -3.55006 1.41335 0.3 0.0 -0.1 0.2115
H -3.21181 -6.10312 -0.61714 0.2 -0.1 -0.2 0.3973
H -3.82718 -4.92920 -1.78372 0.2 -0.2 -0.2 0.4054
H -2.05729 -5.28785 -1.75408 -0.2 -0.3 -0.1 0.3672
H -5.97183 -2.81376 2.47160 -0.1 0.2 -0.1 0.4389
H -5.78654 -0.87161 3.95983 0.1 0.5 -0.1 0.3971
Cl -2.22523 1.87020 -2.04473 0.0 0.0 -0.1 -0.2008
C -3.43724 3.08805 -1.56066 0.0 -0.1 0.0 -0.1724
C -2.80061 4.33126 -0.99118 -0.1 0.1 -0.1 -0.2509
Cl -2.03044 4.04311 0.59079 0.0 0.0 0.0 -0.1443
H -4.11805 2.62071 -0.85173 0.1 0.0 0.1 0.2459
H -3.99975 3.34583 -2.45405 0.1 -0.1 0.1 0.1215
H -3.56028 5.09516 -0.83649 0.0 -0.1 0.0 0.1106
H -2.04430 4.73146 -1.66283 0.0 -0.1 0.0 0.3363
Cl 6.49950 -1.54204 2.61451 0.0 0.0 0.0 -0.2085
C 6.65020 -2.44010 1.08018 0.0 -0.1 0.0 -0.1751
C 6.83194 -1.52375 -0.10168 0.0 -0.1 -0.2 0.0479
Cl 5.35210 -0.58256 -0.43937 0.2 0.2 -0.1 -0.1885
H 5.76443 -3.06216 0.96788 -0.1 0.1 0.0 0.2359
H 7.51558 -3.08850 1.17740 0.1 0.0 0.0 0.1127
H 7.05050 -2.10751 -0.99940 -0.3 0.2 0.5 -0.2435
H 7.64890 -0.82252 0.05266 -0.1 0.0 0.1 0.4101
Cl 10.10235 -3.84743 0.44585 0.0 0.0 0.0 -0.1762
C 10.10180 -4.71959 -1.10761 0.0 -0.1 0.0 -0.4962
C 10.14619 -3.78170 -2.28558 0.1 0.0 -0.2 -0.4179
Cl 8.63651 -2.84719 -2.49519 0.4 -0.2 -0.2 -0.1744
H 9.22285 -5.35940 -1.13735 0.0 0.1 0.0 0.3116
H 10.98775 -5.35257 -1.11199 0.0 0.1 0.0 0.3475
H 10.28513 -4.35287 -3.20225 0.0 0.0 0.0 0.3076
H 10.96600 -3.07324 -2.19539 -0.1 0.1 0.1 0.3249
Cl -5.27193 5.25170 -3.23106 -0.2 0.2 -0.1 -0.1762
C -6.37753 6.63150 -2.99875 -0.2 0.1 -0.1 -0.4995
C -5.63358 7.90330 -2.68176 0.0 0.1 -0.1 -0.4372
Cl -4.86944 7.84905 -1.07205 0.0 0.0 0.0 -0.1769
H -7.07849 6.36998 -2.20979 0.1 0.0 0.0 0.3025
H -6.93564 6.75080 -3.92616 0.1 0.0 0.0 0.3488
H -6.32750 8.74247 -2.67626 0.0 0.0 0.0 0.3237
H -4.85730 8.10450 -3.41612 0.0 -0.1 0.0 0.3094
Cl 1.88376 4.11046 1.62274 0.0 0.0 0.0 -0.1708
C 0.78227 5.49563 1.84204 0.0 0.1 0.0 -0.2799
C 1.52519 6.77136 2.14650 0.0 0.1 -0.1 -0.4694
Cl 2.28900 6.74194 3.75726 0.0 0.0 0.0 -0.1931
........

Your job: give back all of the data above unchanged.

1.
This record from the Open Molecules 2025 dataset describes a cluster of 6 separate species, C27H41Cl10NO2 in total. The level of theory is the ωB97M-V functional and the def2-TZVPD basis.

```
81
Properties=species:S:1:pos:R:3:forces:R:3:mulliken_charge:R:1
C 2.69534 -2.20000 1.07000 -1.0 0.6 0.7 -1.5577
C 1.14682 -2.08597 0.96999 1.2 -0.9 -0.8 0.2855
C 0.72065 -2.02678 -0.52031 0.4 0.6 0.1 -1.1100
N -0.16963 -0.90999 -0.89924 -0.2 -0.6 0.0 -0.2693
C -1.28647 -0.67483 -0.05745 0.7 0.0 -0.2 0.2551
C -1.22250 0.43468 0.75769 0.7 0.8 0.2 -0.3946
C -2.22966 0.78440 1.60542 -0.2 0.6 0.4 -1.2538
C -3.35860 0.00986 1.62287 -1.1 0.1 0.6 1.0936
C -3.45616 -1.10043 0.79776 -0.9 -0.6 0.3 1.1951
C -2.42347 -1.48247 -0.04082 0.1 -0.7 -0.7 -0.8244
C -2.52140 -2.72015 -0.92019 -0.1 -0.1 0.5 -1.5626
C -2.74475 -4.03588 -0.14676 0.3 -0.9 -0.1 1.1546
C -1.56457 -4.39884 0.77034 -0.7 0.1 0.0 -1.3976
C -2.96778 -5.18505 -1.15708 -0.2 0.8 0.5 -1.7082
C -4.76838 -1.86462 0.85766 0.4 0.2 -0.8 0.0344
O -5.25076 -2.35134 -0.14811 -0.2 0.0 0.8 -0.5412
C -5.42444 -1.91607 2.20333 0.4 -0.2 -0.7 -0.7674
C -5.30488 -0.85603 2.98580 -0.1 0.0 0.4 -0.5633
C -4.50348 0.33561 2.53829 0.0 0.2 0.2 -0.0059
O -4.75978 1.46382 2.92083 0.3 -0.7 -0.1 -0.5936
H 3.14476 -1.31021 0.61992 0.1 -0.5 0.0 0.2351
H 2.92851 -2.16210 2.14022 0.3 -0.2 -0.2 0.4082
H 3.06171 -3.13409 0.64047 0.1 0.2 -0.1 0.4231
H 0.76165 -3.01709 1.38530 -0.4 0.4 0.4 0.0780
H 0.87064 -1.20505 1.54890 -0.5 -0.2 -0.1 0.2156
H 0.31056 -2.97623 -0.86746 -0.1 0.1 0.2 0.2258
H 1.64134 -1.87814 -1.09732 -0.2 0.0 -0.1 0.6872
H 0.38015 -0.06500 -0.97091 0.0 0.0 0.1 0.5461
H -0.34229 1.07223 0.73257 0.0 -0.2 -0.1 0.4661
H -2.15080 1.64562 2.25577 0.0 0.0 -0.1 0.6394
H -1.58709 -2.83172 -1.47258 -0.2 0.1 -0.2 0.7224
H -3.34411 -2.59584 -1.62696 0.2 0.0 0.0 0.6263
H -3.62973 -4.02681 0.49245 0.0 0.4 -0.2 0.1513
H -0.71595 -4.73939 0.17021 0.1 0.2 0.2 0.2965
H -1.86871 -5.20923 1.44174 0.1 0.0 -0.2 0.5318
H -1.32363 -3.55006 1.41335 0.3 0.0 -0.1 0.2115
H -3.21181 -6.10312 -0.61714 0.2 -0.1 -0.2 0.3973
H -3.82718 -4.92920 -1.78372 0.2 -0.2 -0.2 0.4054
H -2.05729 -5.28785 -1.75408 -0.2 -0.3 -0.1 0.3672
H -5.97183 -2.81376 2.47160 -0.1 0.2 -0.1 0.4389
H -5.78654 -0.87161 3.95983 0.1 0.5 -0.1 0.3971
Cl -2.22523 1.87020 -2.04473 0.0 0.0 -0.1 -0.2008
C -3.43724 3.08805 -1.56066 0.0 -0.1 0.0 -0.1724
C -2.80061 4.33126 -0.99118 -0.1 0.1 -0.1 -0.2509
Cl -2.03044 4.04311 0.59079 0.0 0.0 0.0 -0.1443
H -4.11805 2.62071 -0.85173 0.1 0.0 0.1 0.2459
H -3.99975 3.34583 -2.45405 0.1 -0.1 0.1 0.1215
H -3.56028 5.09516 -0.83649 0.0 -0.1 0.0 0.1106
H -2.04430 4.73146 -1.66283 0.0 -0.1 0.0 0.3363
Cl 6.49950 -1.54204 2.61451 0.0 0.0 0.0 -0.2085
C 6.65020 -2.44010 1.08018 0.0 -0.1 0.0 -0.1751
C 6.83194 -1.52375 -0.10168 0.0 -0.1 -0.2 0.0479
Cl 5.35210 -0.58256 -0.43937 0.2 0.2 -0.1 -0.1885
H 5.76443 -3.06216 0.96788 -0.1 0.1 0.0 0.2359
H 7.51558 -3.08850 1.17740 0.1 0.0 0.0 0.1127
H 7.05050 -2.10751 -0.99940 -0.3 0.2 0.5 -0.2435
H 7.64890 -0.82252 0.05266 -0.1 0.0 0.1 0.4101
Cl 10.10235 -3.84743 0.44585 0.0 0.0 0.0 -0.1762
C 10.10180 -4.71959 -1.10761 0.0 -0.1 0.0 -0.4962
C 10.14619 -3.78170 -2.28558 0.1 0.0 -0.2 -0.4179
Cl 8.63651 -2.84719 -2.49519 0.4 -0.2 -0.2 -0.1744
H 9.22285 -5.35940 -1.13735 0.0 0.1 0.0 0.3116
H 10.98775 -5.35257 -1.11199 0.0 0.1 0.0 0.3475
H 10.28513 -4.35287 -3.20225 0.0 0.0 0.0 0.3076
H 10.96600 -3.07324 -2.19539 -0.1 0.1 0.1 0.3249
Cl -5.27193 5.25170 -3.23106 -0.2 0.2 -0.1 -0.1762
C -6.37753 6.63150 -2.99875 -0.2 0.1 -0.1 -0.4995
C -5.63358 7.90330 -2.68176 0.0 0.1 -0.1 -0.4372
Cl -4.86944 7.84905 -1.07205 0.0 0.0 0.0 -0.1769
H -7.07849 6.36998 -2.20979 0.1 0.0 0.0 0.3025
H -6.93564 6.75080 -3.92616 0.1 0.0 0.0 0.3488
H -6.32750 8.74247 -2.67626 0.0 0.0 0.0 0.3237
H -4.85730 8.10450 -3.41612 0.0 -0.1 0.0 0.3094
Cl 1.88376 4.11046 1.62274 0.0 0.0 0.0 -0.1708
C 0.78227 5.49563 1.84204 0.0 0.1 0.0 -0.2799
C 1.52519 6.77136 2.14650 0.0 0.1 -0.1 -0.4694
Cl 2.28900 6.74194 3.75726 0.0 0.0 0.0 -0.1931